Banned Websites Awareness Day

**Unrelated to this text: materials data:**
- - -
Pr2Sm7Ho3: relaxed, PBE-GGA.

```
Pr2Sm7Ho3
1.0
3.6517 0.0000 0.0000
0.0000 5.7903 0.0000
0.0000 -2.8951 19.1951
Sm Ho Pr
7 3 2
Direct
0.0000 0.0000 0.0000 Sm
0.0000 0.2311 0.4623 Sm
0.5000 0.9289 0.8577 Sm
0.0000 0.4101 0.8202 Sm
0.0000 0.7689 0.5377 Sm
0.5000 0.0711 0.1423 Sm
0.0000 0.5899 0.1798 Sm
0.5000 0.5000 0.0000 Ho
0.5000 0.3142 0.6285 Ho
0.5000 0.6858 0.3715 Ho
0.0000 0.8520 0.7039 Pr
0.0000 0.1480 0.2961 Pr
- - -

Description & History
To raise awareness of the overly restrictive blocking of legitimate, educational websites and academically useful social networking tools in schools and school libraries, AASL has designated one day during Banned Books Week as Banned Websites Awareness Day. To mark the day, AASL asks school librarians and other educators to promote an awareness of how overly restrictive filtering affects student learning.
The next Banned Websites Awareness Day is Wednesday, September 25, 2024.
Usually the public thinks of censorship in relation to books, however there is a growing censorship issue in schools and school libraries – overly restrictive filtering of educational websites reaching far beyond the requirements of the Children’s Internet Protection Act (CIPA). Students, teachers, and school librarians in many schools are frustrated daily when they discover legitimate educational websites blocked by filtering software installed by their school.
Filtering websites does the next generation of digital citizens a disservice. Students must develop skills to evaluate information from all types of sources in multiple formats, including the Internet. Relying solely on filters does not teach young citizens how to be savvy searchers or how to evaluate the accuracy of information.
Over extensive filtering also extends to the use of online social networking sites such as FaceBook, Twitter, YouTube, Blogger, etc. In order to make school more relevant to students and enhance their learning experiences, educators need to be able to incorporate those same social interactions that are successful outside of school into authentic assignments in the school setting. Unfortunately, filters implemented by school districts also block many of the social networking sites.
Professional Learning Resources

Intellectual Freedom related posts on Knowledge Quest
Don't Filter Me Project
Don’t Leave Students in the Dark

Embed Codes and Library Web Sites
Guidelines to Minimize the Negative Effects of Internet Content Filters on Inte…
How Internet Filtering Hurts Kids
Internet Filters

Filtering beyond CIPA: Consequences of and Alternatives to Overfiltering in Sch…

Misplaced calculated crystals
=====
A plane-wave DFT calculation with PBE-GGA was carried out for a geometry-optimized La7Tb2Sc2 structure.

abc: 10.0969 8.8090 10.0969
angles: 40.36 125.40 139.64
Closest atoms and distances in Å follow each position.
Element x y z (fractional)
La1 0.3950 0.6501 0.6050  1 Tb 3.25, 7 La 3.43-3.52
Sc1 0.1817 0.5000 0.1817  2 La 3.34, 1 Sc 3.37, 4 Tb 3.43-3.44
La2 0.6050 0.3499 0.3950  1 Tb 3.25, 7 La 3.43-3.52
La3 0.9061 0.2162 0.4882  1 Sc 3.34, 2 Tb 3.42-3.67, 5 La 3.43-3.65
Tb1 0.3086 0.1419 0.6914  3 La 3.25-3.42, 4 Sc 3.43-3.44, 1 Tb 3.56
Tb2 0.6914 0.8581 0.3086  3 La 3.25-3.42, 4 Sc 3.43-3.44, 1 Tb 3.56
La4 0.0939 0.7838 0.5118  1 Sc 3.34, 2 Tb 3.42-3.67, 5 La 3.43-3.65
La5 0.0000 0.0000 0.0000  10 La 3.65-4.05
La6 0.4882 0.7838 0.9061  1 Sc 3.34, 2 Tb 3.42-3.67, 5 La 3.43-3.65
Sc2 0.8183 0.5000 0.8183  2 La 3.34, 1 Sc 3.37, 4 Tb 3.43-3.44
La7 0.5118 0.2162 0.0939  1 Sc 3.34, 2 Tb 3.42-3.67, 5 La 3.43-3.65
=====
So much for the calculated crystals

Filtering Texas-Style: An Interview with Michael Gras and Scott Floyd
Filtering and the First Amendment
Minors and Online Activity: An Interpretation of the Library Bill of Rights
The Next Book Ban: States Aim to Limit Titles Students Can Search For
Learner Engagement Resources
Cyber Safety & Ethics Workshops
Promotional Resources
The AASL Banned Websites Awareness Day logo is available for download and use by educational institutions, or by individuals for educational purposes, under the following guidelines:
- The logo may not be altered. The user is permitted to resize the logo but all markings and the logo in its entirety must be maintained.
- If the logo is used for any commercial product permission must be requested formally by contacting AASL.
Promotional Partners
National Promotional Partners
American Civil Liberties Union (ACLU)
Freedom to Read Foundation (FTRF)
National Association of State Educational Media Professionals (NASTEMP)
National Council of Teachers of English (NCTE)
State Promotional Partners
Alaska Association of School Librarians (AkASL)
Connecticut Association of School Librarians (CASL)
Hawaii Association of School Librarians (HASL)
Illinois School Library Media Association (ISLMA)
Iowa Association of School Librarians (IASL)
Maryland Association of School Librarians (MASL)
Massachusetts School Library Association (MASL)
New Jersey Association of School Librarians (NJASL)
New York Library Association/Section of School Librarians (NYLA/SSL)
Ohio Educational Library Media Association (OELMA)
Pennsylvania School Librarians Association (PSLA)
South Carolina Association of School Librarians (SCASL)
Texas Association of School Librarians (TASL)
Wisconsin Educational Media Association (WEMTA)
For more information regarding BWAD Promotional Partners contact Allison Cline at